Count the lines further below that contain the word "Se" and give the number alone, please.

┌──
Entry 1:
Compound: Sr2Al6O11
Source: the Materials Project database
Functional: PBE
Structure: relaxed

Cell: 4.9321 8.4923 22.1748 Å, 90.00 90.00 90.00°
Element x y z (fractional)
Sr: 0.9609 0.5000 0.6546
Sr: 0.4609 0.0000 0.8454
Sr: 0.0391 0.5000 0.3454
Sr: 0.5391 0.0000 0.1546
Sr: 0.3846 0.5000 0.8618
Sr: 0.8846 0.0000 0.6382
Sr: 0.6154 0.5000 0.1382
Sr: 0.1154 0.0000 0.3618
Al: 0.5070 0.3210 0.4257
Al: 0.0070 0.1790 0.0743
Al: 0.4930 0.3210 0.5743
Al: 0.9930 0.1790 0.9257
Al: 0.4930 0.6790 0.5743
Al: 0.9930 0.8210 0.9257
Al: 0.5070 0.6790 0.4257
Al: 0.0070 0.8210 0.0743
Al: 0.6147 0.2052 0.2863
Al: 0.1147 0.2948 0.2137
Al: 0.3853 0.2052 0.7137
Al: 0.8853 0.2948 0.7863
Al: 0.3853 0.7948 0.7137
Al: 0.8853 0.7052 0.7863
Al: 0.6147 0.7948 0.2863
Al: 0.1147 0.7052 0.2137
Al: 0.0000 0.8331 0.5000
Al: 0.5000 0.6669 0.0000
Al: 0.0000 0.1669 0.5000
Al: 0.5000 0.3331 0.0000
Al: 0.0000 0.5000 0.5000
Al: 0.5000 0.0000 0.0000
Al: 0.5000 0.0000 0.5000
Al: 0.0000 0.5000 0.0000
O: 0.4702 0.2610 0.2159
O: 0.9702 0.2390 0.2841
O: 0.5298 0.2610 0.7841
O: 0.0298 0.2390 0.7159
O: 0.5298 0.7390 0.7841
O: 0.0298 0.7610 0.7159
O: 0.4702 0.7390 0.2159
O: 0.9702 0.7610 0.2841
O: 0.1522 0.6630 0.5484
O: 0.6522 0.8370 0.9516
O: 0.8478 0.6630 0.4516
O: 0.3478 0.8370 0.0484
O: 0.8478 0.3370 0.4516
O: 0.3478 0.1630 0.0484
O: 0.1522 0.3370 0.5484
O: 0.6522 0.1630 0.9516
O: 0.6710 0.5000 0.9552
O: 0.1710 0.0000 0.5448
O: 0.1781 0.3421 0.9517
O: 0.3290 0.5000 0.0448
O: 0.9933 0.1816 0.1534
O: 0.4933 0.3184 0.3466
O: 0.0067 0.1816 0.8466
O: 0.5067 0.3184 0.6534
O: 0.0067 0.8184 0.8466
O: 0.5067 0.6816 0.6534
O: 0.9933 0.8184 0.1534
O: 0.4933 0.6816 0.3466
O: 0.8219 0.6579 0.0483
O: 0.3219 0.8421 0.4517
O: 0.1781 0.6579 0.9517
O: 0.6781 0.8421 0.5483
O: 0.8248 0.0000 0.0561
O: 0.3248 0.5000 0.4439
O: 0.1752 0.0000 0.9439
O: 0.6752 0.5000 0.5561
O: 0.5603 0.0000 0.2977
O: 0.0603 0.5000 0.2023
O: 0.4397 0.0000 0.7023
O: 0.9397 0.5000 0.7977
O: 0.3219 0.1579 0.4517
O: 0.8219 0.3421 0.0483
O: 0.6781 0.1579 0.5483
O: 0.8290 0.0000 0.4552

## Properties
Raw total energy: -7.285 eV/atom
Formation energy from the elements: -3.458 eV/atom
M_tot: 0.0 μB per formula unit
Mass density: 3.7 g/cm3



Entry 2:
Compound: Ba7Sn3Te3Se10
Source: the Materials Project database
Functional: PBE
Structure: relaxed

Cell: 9.5133 13.1690 25.6458 Å, 90.00 90.00 90.00°
Element x y z (fractional)
Ba: 0.3839 0.3074 0.5324
Ba: 0.6161 0.6926 0.4676
Ba: 0.8839 0.1926 0.4676
Ba: 0.6161 0.6926 0.0324
Ba: 0.1161 0.8074 0.5324
Ba: 0.3839 0.3074 0.9676
Ba: 0.1161 0.8074 0.9676
Ba: 0.8839 0.1926 0.0324
Ba: 0.4139 0.0206 0.6589
Ba: 0.5861 0.9794 0.3411
Ba: 0.9139 0.4794 0.3411
Ba: 0.5861 0.9794 0.1589
Ba: 0.0861 0.5206 0.6589
Ba: 0.4139 0.0206 0.8411
Ba: 0.0861 0.5206 0.8411
Ba: 0.9139 0.4794 0.1589
Ba: 0.1021 0.1385 0.2500
Ba: 0.8979 0.8615 0.7500
Ba: 0.6021 0.3615 0.7500
Ba: 0.3979 0.6385 0.2500
Ba: 0.4098 0.3414 0.1526
Ba: 0.5902 0.6586 0.8474
Ba: 0.9098 0.1586 0.8474
Ba: 0.5902 0.6586 0.6526
Ba: 0.0902 0.8414 0.1526
Ba: 0.4098 0.3414 0.3474
Ba: 0.0902 0.8414 0.3474
Ba: 0.9098 0.1586 0.6526
Sn: 0.6961 0.2603 0.2500
Sn: 0.3039 0.7397 0.7500
Sn: 0.1961 0.2397 0.7500
Sn: 0.8039 0.7603 0.2500
Sn: 0.3007 0.0460 0.0542
Sn: 0.6993 0.9540 0.9458
Sn: 0.8007 0.4540 0.9458
Sn: 0.6993 0.9540 0.5542
Sn: 0.1993 0.5460 0.0542
Sn: 0.3007 0.0460 0.4458
Sn: 0.1993 0.5460 0.4458
Sn: 0.8007 0.4540 0.5542
Te: 0.1801 0.0778 0.5435
Te: 0.8199 0.9222 0.4565
Te: 0.6801 0.4222 0.4565
Te: 0.8199 0.9222 0.0435
Te: 0.3199 0.5778 0.5435
Te: 0.1801 0.0778 0.9565
Te: 0.3199 0.5778 0.9565
Te: 0.6801 0.4222 0.0435
Te: 0.1736 0.3996 0.2500
Te: 0.8264 0.6004 0.7500
Te: 0.6736 0.1004 0.7500
Te: 0.3264 0.8996 0.2500
Se: 0.3313 0.2801 0.6680
Se: 0.6687 0.7199 0.3320
Se: 0.8313 0.2199 0.3320
Se: 0.6687 0.7199 0.1680
Se: 0.1687 0.7801 0.6680
Se: 0.3313 0.2801 0.8320
Se: 0.1687 0.7801 0.8320
Se: 0.8313 0.2199 0.1680
Se: 0.1125 0.0922 0.1216
Se: 0.8875 0.9078 0.8784
Se: 0.6125 0.4078 0.8784
Se: 0.8875 0.9078 0.6216
└──

12